
Proposals seek to encourage more cyclists and to make Baltimore streets safer for them

Boson Au commutes from his Charles Village home to his downtown office by bicycle. He rides his bike to the grocery store and, with a group of cycling friends, to bars on weekends.

Traveling by bike allows Au a more immediate and intimate experience of Baltimore than driving a car. "It makes the city seem smaller and closer," said the 32-year-old Web developer. "I'm seeing the streets. I'm feeling the bumps. It's made me more involved in the city."

How To Conquer Bikephobia

My bike is going to kill me. That was all I could think about as I rolled the thing out of my apartment and made those initial awkward pedal pushes in my first ride around downtown Toronto. But gliding along Queen St., with no angry cars honking or getting too close to my wheels, I figured I might actually get home alive. If I could just remember the road rules.

MIT’s big wheel in Copenhagen

CAMBRIDGE, Mass. — Tomorrow, Dec. 15, at the Copenhagen Conference on Climate Change, MIT researchers will debut the Copenhagen Wheel — a revolutionary new bicycle wheel that not only boosts power, but can keep track of friends, fitness, smog and traffic. Though it looks like an ordinary bicycle wheel with an oversized center, the Wheel's bright red hub is a veritable Swiss army knife's worth of electronic gadgets and novel functions.

Honda to launch bicycle simulator

Honda have developed this bicycle simulator to teach people how to deal with traffic.

Honda have developed a high-tech bicycle simulator to teach people how to stay safe in traffic.

The device, which looks like something Heath Robinson might have dreamt up rather than a gleaming product of the motor industry, will go on sale in Japan in Feburary.

According to Honda, it will help people "improve their ability to predict risks and increase safety awareness" by letting them experience the possible risks faced by cyclists.

Users have to sit astride the built-in bike and take part in various scenarios shown on the computer screen in front of them, ranging from "going to school" to "going to the grocery store".

Between two parts of the piece: quantum chemistry results >
=====
(A)
The following is a DFT calculation (the ωB97M-V functional and the def2-TZVPD basis) of a single C4H7NO2 molecule.

HOMO-LUMO gap (alpha / beta)	4.547 / 6.927	eV
HOMO (alpha / beta)	-3.8 / -9.6	eV
2S+1	3
expectation value of S²	2.01

Geometry (Å):
C  -2.009  -0.510  -0.024
C  -0.725  -1.272  0.501
C  -0.055  0.087  0.566
C  0.804  0.444  -0.749
N  -1.384  0.619  0.327
O  -2.995  -0.794  -0.616
O  -1.564  1.951  0.246
H  -1.013  -1.570  1.453
H  -0.312  -2.096  -0.055
H  0.561  0.540  1.440
H  0.534  -0.104  -1.552
H  1.907  0.203  -0.628
H  0.667  1.461  -0.780
H  -1.757  2.086  -0.643

(B)
The following is a DFT calculation (the ωB97M-V functional and the def2-TZVPD basis) of a single C4H7NO2 molecule.

HOMO-LUMO gap (alpha / beta)	6.838 / 7.561	eV
HOMO (alpha / beta)	-6.1 / -10.3	eV
2S+1	3
expectation value of S²	2.01

Geometry (Å):
C  -0.277  -1.732  -0.473
C  -0.328  -0.588  0.218
C  -1.645  0.163  0.099
C  0.853  0.173  0.751
N  1.278  1.121  -0.293
O  -2.675  -0.410  0.295
O  -1.501  1.484  -0.127
H  0.612  -2.324  -0.743
H  -1.260  -2.087  -0.768
H  0.381  0.886  1.535
H  1.690  -0.470  1.051
H  1.284  0.694  -1.280
H  2.168  1.405  -0.065
H  -0.580  1.686  -0.200

Going by the energies, (B) is most stable and the next is 0.1406 hartree up.

* * * * *

(1)
This record from the Open Molecules 2025 dataset describes C50H43F5Ge2N5O6Ti as an isolated structure. The level of theory is ωB97M-V/def2-TZVPD.

Geometry as XYZ:
```
112
Properties=species:S:1:pos:R:3
Ti 0.14 -0.13 -0.13
C 1.55 -0.36 4.23
O 1.54 1.02 3.78
C 0.98 1.00 2.58
N 0.68 -0.13 2.06
C 1.05 -1.18 3.02
C -0.10 -2.09 3.34
C -1.31 -1.57 3.78
C -2.37 -2.41 4.06
C -2.24 -3.78 3.89
C -1.03 -4.31 3.44
C 0.04 -3.46 3.17
C 0.70 2.22 1.84
C 0.99 3.50 2.26
C 0.60 4.55 1.45
C -0.11 4.29 0.28
C -0.35 2.97 -0.06
N 0.10 1.95 0.67
C -1.22 2.54 -1.17
N -1.58 1.33 -1.29
C -2.39 1.27 -2.52
C -2.68 2.75 -2.81
O -1.67 3.45 -2.04
C -3.58 0.33 -2.40
C -4.89 0.74 -2.21
C -5.92 -0.19 -2.12
C -5.65 -1.55 -2.23
C -4.34 -1.97 -2.44
C -3.32 -1.04 -2.51
H 0.87 -0.44 5.08
H 2.56 -0.60 4.55
H 1.86 -1.76 2.56
H -1.42 -0.49 3.89
H -3.31 -1.99 4.40
H -3.07 -4.44 4.08
H -0.94 -5.37 3.26
H 0.96 -3.87 2.79
H 1.51 3.65 3.20
H 0.83 5.57 1.73
H -0.48 5.08 -0.36
H -1.75 0.86 -3.30
H -3.65 3.09 -2.45
H -2.56 3.02 -3.86
H -5.15 1.79 -2.13
H -6.94 0.15 -1.97
H -6.46 -2.27 -2.19
H -4.11 -3.02 -2.59
H -2.30 -1.38 -2.66
C -3.60 0.36 1.08
C -3.01 -0.97 0.76
N -1.76 -1.23 0.44
C -1.63 -2.60 0.34
C -2.84 -3.17 0.55
N -3.71 -2.12 0.80
C -3.35 -4.57 0.57
O -4.59 -4.69 0.01
O -2.82 -5.51 1.07
C -0.24 -3.10 0.09
O 0.03 -4.28 0.13
O 0.60 -2.12 -0.09
H -2.82 1.11 1.03
H -4.02 0.35 2.09
H -4.39 0.62 0.38
H -4.67 -2.22 1.08
H -4.77 -3.93 -0.57
F 1.13 2.05 -2.40
C 0.90 0.88 -3.08
C 0.40 -0.22 -2.40
C 0.19 -1.32 -3.20
F -0.34 -2.46 -2.70
C 0.46 -1.35 -4.56
F 0.24 -2.45 -5.29
C 0.97 -0.22 -5.18
F 1.25 -0.23 -6.49
C 1.19 0.92 -4.43
F 1.67 2.02 -5.02
C 3.92 -3.31 0.27
Ge 4.41 -1.47 0.78
C 4.75 -1.54 2.73
C 6.19 -1.09 0.02
=====
Back to the piece >

They can check over their shoulders using secondary displays, there are speakers behind their head to make the experience more realistic, and the machine can even recognise when they get off and walk.

Unavailability of urban appropriate utility style bicycles in New Zealand

Having lived for 10 years in Japan where there is a very large and broad cycling demographic (of 86 million cyclists!) , it is glaringly obvious to me that the unavailability of urban appropriate utility style bicycles in New Zealand is limiting our opportunities for us seperating ourselves from our cars.

Estimating Demand for New Cycling Facilities in New Zealand, Land Transport New Zealand Research Report 340

Currently there is little guidance available for estimating demand on a new cycling facility. The purpose of the research was to develop a tool for estimating cycle demand on a new cycle facility that could be used for Land Transport New Zealand funding applications. Existing methods in New Zealand and overseas were investigated as part of the research. A Steering Group was established to provide input and direction and to assist in the selection of ten cycle facility sites to be investigated further. Estimation tools have been developed for both on-road and off-road facilities based on “before” cycle counts, results of documented growth on NZ cycle facilities and Census travel to work data trends.